1) Young W. Churchill in Mortal danger

(W. Churchill tells the following episode of his boyhood: In the summer of 1893, my brother and I were sent for a so-called walking-tour in Switzerland, with a tutor. We travelled by train so far as the money lasted. The tutor and I climbed mountains. I longed to climb the Matterhorn, but this was held by the tutor to be too dangerous. All this prudence, however might easily have been upset by an incident which happened to me in the lake of Geneva, and I record this incident that it may be a warning to others.)

One day I went for a row with another boy a little younger than myself. When we were more than a mile from the shore, we decided to have a swim, pulled off our clothes, jumped into the water and swam about. When we had had enough, the boat was perhaps one hundred yards away. A breeze had begun to stir the waters. The boat had a small awning1) over its stern2) seats. This awning acted as a sail by catching the breeze. As we swam towards the boat, it drifted farther off. After this had happened several times we had perhaps halved the distance. But meanwhile the breeze was freshening and we both began to be tired.

Up to this point no idea of danger had crossed my mind. The sun played upon the sparkling blue waters; the wonderful panorama of mountains and valleys still smiled. But now I saw Death as near as I believe I have ever seen him. He was swimming in the water at our side. No help was near. I was not only an easy, but also a fast swimmer. I now swam for life. Twice I reached within a yard of the boat and each time a gust3) carried it just beyond my reach; but by a supreme effort I caught hold of its side in the nick4) of time before a still stronger gust bulged the red awning again. I scrambled in and rowed back for my companion.. I said nothing to the tutor about this serious experience; but I have never forgotten it.

1) awning: canvas covering (against rain or sun), e.g. over a ship’s deck
2) stern: back end of a ship or boat [opposite: bow]
3) gust: sudden, violent rush of wind
4) in the nick of time: just in time a the very last moment

2) Young Churchill: The Chase

(When leafing through Churchill’s autobiography I came upon the following episode.)

My aunt had lent us her rural estate for the winter. It was a small, wild place and through the middle of it there ran a deep cleft1) which was spanned by a wooden bridge with a railing of cast iron. I was just 18. My younger brother aged 12 and a cousin aged 14 suggested a chase. After I had been hunted by the two for quite some time I was out of breath and decided to cross the bridge. However, when I had got to its middle I realized that my pursuers had divided their forces: One of them stood at each end of the bridge. I was, as the expression goes, up the creek2). But then an idea struck me. The cleft was full of young fir-trees and their tops reached to the level of the bridge. I thought it might just be possible to jump to one of those fir-trees and slide down the stem with the branches cushioning3) the impact of my fall. I might get a few scratches, probably. To plunge or not to plunge that was the question. In a second I had plunged, throwing out my arms to embrace the top of the nearest fir-tree.

The alarming message of the children: "He jumped off the bridge and now he won’t speak to us", made my mother hurry down to the scene of the accident. I had to be carried away on a stretcher and it was three days before I regained consciousness and more than three months before I could crawl out of my bed again. Ever since then I have never again felt like jumping from a bridge.

**Here the text breaks off for records of crystals:**
- - -
A relaxed structure of Tb2NdOs, computed with PBE.

a b c (Å): 3.4330 3.4330 9.3867
angles (deg): 90.00 90.00 90.00
Last column: nearest neighbours and their distance in Å.
Space group P4/mmm (No. 123)
Asymmetric unit:
Tb 0.0000 0.0000 0.1770 [2 per cell]  4 Os 2.94
Nd 0.5000 0.5000 0.5000 [1 per cell]  4 Nd 3.43
Os 0.5000 0.5000 0.0000 [1 per cell]  8 Tb 2.94

Formation energy in eV per atom: -0.11
E in eV per atom: -6.420
Density of states at the Fermi level in states/eV per atom: 0.670
Offset from the most stable computed form in eV per atom: 0.0842

----------

1.
Material: NiMo2Br
Method: DFT, PBE
State: relaxed

Cell lengths 4.5536, 4.5536, 7.3853 Å; angles 60.37, 60.37, 41.13 degrees
Sites, in units of the cell vectors:
1 Br 0.2500 0.2500 0.2500
2 Ni 0.7500 0.7500 0.7500
3 Mo 0.5153 0.5153 0.6181
4 Mo 0.9847 0.9847 0.8819

- SG: C2/m, No. 12
- Calculated volume: 21.39 Å³/atom
- Raw formation energy: 1.99 eV per formula unit
- E_tot: -27.13 eV/cell
- DOS at the Fermi energy: 2.223 states/eV per cell

***

2.
Material: AcCd13
Method: DFT, PBE
State: relaxed

Cell lengths 9.8118, 9.8118, 9.8118 Å; angles 60.00, 60.00, 60.00 degrees
Sites, in units of the cell vectors:
1 Cd 0.6977 0.0575 0.9425
2 Cd 0.9425 0.0575 0.3023
3 Cd 0.1977 0.8023 0.4425
4 Cd 0.8023 0.4425 0.1977
5 Cd 0.0000 0.0000 0.0000
6 Cd 0.4425 0.1977 0.8023
7 Cd 0.8023 0.5575 0.4425
8 Cd 0.5575 0.1977 0.4425
9 Cd 0.3023 0.0575 0.6977
10 Cd 0.4425 0.5575 0.1977
11 Cd 0.3023 0.9425 0.0575
12 Cd 0.5575 0.4425 0.8023
13 Cd 0.1977 0.4425 0.5575
14 Cd 0.0575 0.6977 0.3023
15 Cd 0.9425 0.6977 0.0575
16 Cd 0.8023 0.1977 0.5575
17 Cd 0.5000 0.5000 0.5000
18 Cd 0.9425 0.3023 0.6977
19 Cd 0.6977 0.9425 0.3023
20 Cd 0.3023 0.6977 0.9425
21 Cd 0.0575 0.9425 0.6977
22 Ac 0.2500 0.2500 0.2500
23 Cd 0.6977 0.3023 0.0575
24 Ac 0.7500 0.7500 0.7500
25 Cd 0.0575 0.3023 0.9425
26 Cd 0.1977 0.5575 0.8023
27 Cd 0.4425 0.8023 0.5575
28 Cd 0.5575 0.8023 0.1977

- SG: Fm-3c, No. 226
- Calculated volume: 23.85 Å³/atom
- Formation enthalpy at 0 K: -91 meV per atom
- E_tot: -34.56 eV/cell
- DOS at the Fermi energy: 11.708 states/eV per cell

***

3.
Material: CsNaZn2Cl6
Method: DFT, PBE
State: relaxed

Cell lengths 6.5280, 10.3440, 10.3440 Å; angles 97.19, 84.70, 84.70 degrees
Sites, in units of the cell vectors:
1 Cs 0.2500 0.8745 0.1255
2 Cl 0.9650 0.4239 0.8090
3 Cl 0.0350 0.5761 0.1910
4 Cl 0.5350 0.1910 0.5761
5 Na 0.7500 0.5973 0.4027
6 Zn 0.1744 0.3756 0.2131
7 Cl 0.9795 0.3224 0.4053
8 Cl 0.2322 0.2116 0.0521
9 Cs 0.7500 0.1255 0.8745
10 Zn 0.6744 0.2131 0.3756
11 Cl 0.7678 0.7884 0.9479
12 Cl 0.7322 0.0521 0.2116
13 Zn 0.8256 0.6244 0.7869
14 Cl 0.5205 0.5947 0.6776
15 Cl 0.4650 0.8090 0.4239
16 Zn 0.3256 0.7869 0.6244
17 Cl 0.2678 0.9479 0.7884
18 Na 0.2500 0.4027 0.5973
19 Cl 0.0205 0.6776 0.5947
20 Cl 0.4795 0.4053 0.3224

- SG: C2/c, No. 15
- Calculated volume: 34.31 Å³/atom
- Raw formation energy: -14.61 eV per formula unit
- E_tot: -60.83 eV/cell
- - -
**Back to the text:**

1) cleft: natural opening or crack, for example in the ground or in rock
2) to be up the creek (informal): in a difficult or bad situation
3) to cushion: to make the effect of a fall or hit less severe